**Work order:**
Next, start at the top of the listing further down and set down each line, ending with the one that has "-0.2 1.9".
**Entries:**
____________
Record 1
ORCA calculation (the ωB97M-V functional and the def2-TZVPD basis) on C23H25N6NiO as an isolated structure.

XYZ file:
```
56
Properties=species:S:1:pos:R:3:forces:R:3
Ni 0.1839 -0.5298 -0.4530 0.6 -0.2 -0.5
N 0.7568 -2.1703 -1.7765 -0.1 0.1 0.2
C 2.1397 -1.9844 -2.0919 0.1 -0.1 -0.2
C 2.7453 -2.5383 -3.1867 -0.2 0.0 0.1
C 4.1237 -2.3606 -3.4084 0.1 0.0 0.0
C 4.8847 -1.6704 -2.5090 0.0 0.0 -0.1
C 4.2837 -1.0687 -1.3808 -0.3 0.0 0.0
C 5.0100 -0.3419 -0.4143 -0.1 0.1 0.1
C 4.3318 0.2475 0.6130 0.2 0.0 0.0
C 2.9317 0.1588 0.6579 -0.1 0.0 -0.1
N 2.2142 -0.5197 -0.2089 0.1 -0.1 0.0
C 2.8848 -1.1783 -1.2018 0.3 0.0 -0.1
H 0.6576 -2.8989 -1.0758 0.0 -0.1 0.0
H 0.2381 -2.4588 -2.5950 -0.1 0.1 0.0
H 2.1634 -3.1374 -3.8773 0.0 0.0 0.0
H 4.5787 -2.8006 -4.2853 0.0 0.0 0.0
H 5.9532 -1.5653 -2.6480 0.0 0.0 0.0
H 6.0857 -0.2561 -0.5025 0.0 0.0 0.0
H 4.8410 0.8092 1.3837 0.0 0.0 0.0
H 2.3990 0.6897 1.4268 -0.2 0.0 0.1
C -3.1281 1.1932 -2.8490 0.0 0.0 0.0
C -3.6071 -0.2382 -2.5169 0.1 0.0 0.0
C -2.3025 -1.0251 -2.3325 -0.2 0.1 -0.1
O -1.3000 -0.0462 -2.0634 -0.1 0.0 -0.1
C -1.6066 1.0514 -2.9207 -0.1 0.1 -0.1
H -3.4115 1.8887 -2.0602 0.0 0.0 0.0
H -3.5339 1.5656 -3.7877 0.0 0.0 0.0
H -4.2136 -0.6687 -3.3115 0.0 0.0 0.0
H -4.1943 -0.2509 -1.6006 0.0 0.0 0.0
H -2.0463 -1.5544 -3.2592 0.0 0.0 0.0
H -2.3264 -1.7284 -1.5019 0.0 0.0 0.0
H -1.2937 0.8101 -3.9436 0.1 0.0 0.0
H -1.0583 1.9260 -2.5790 0.0 0.0 0.1
C -0.4430 0.3164 1.3670 -0.9 0.8 1.5
C 0.1057 1.0574 2.1793 0.0 -0.4 -0.7
C 0.8855 1.8573 3.0555 0.2 0.2 0.3
C 1.0182 3.2370 2.8430 0.0 -0.2 -0.1
C 1.7587 4.0089 3.7194 0.0 0.1 0.0
C 2.3697 3.4250 4.8215 0.0 0.0 0.0
C 2.2479 2.0585 5.0410 0.0 0.0 0.0
C 1.5155 1.2761 4.1673 -0.1 0.0 -0.2
H 0.5354 3.6832 1.9835 0.0 0.0 0.0
H 1.8620 5.0726 3.5496 0.0 0.0 0.0
H 2.9397 4.0339 5.5107 0.0 0.0 0.0
H 2.7271 1.6026 5.8975 0.0 0.0 0.0
H 1.4177 0.2104 4.3286 0.0 0.0 0.0
N -6.0130 -0.1381 0.8663 0.0 -0.1 0.2
C -5.0660 -0.9883 1.3515 0.3 0.1 -0.1
N -5.4735 -2.0112 2.1472 -0.1 0.1 -0.2
N -3.8221 -0.8492 1.0076 -0.5 -0.6 -0.7
C -2.6810 -0.4148 1.2727 0.2 0.9 1.3
N -1.4878 -0.3751 0.8741 0.4 -0.8 -1.0
H -6.8971 -0.1006 1.3482 0.0 0.0 -0.1
H -5.6739 0.7428 0.5160 0.0 0.0 0.0
H -6.4229 -2.3368 2.0619 0.0 0.0 0.1
H -4.7873 -2.7166 2.3505 0.0 0.0 0.0
```
Positions in Å, forces in eV/Å.

E_LUMO (spin up / spin down): -0.0909 / -0.0967 Eh
Frontier orbital gap (spin up / spin down): 6.350 / 7.168 eV
Charge: +1
Spin multiplicity: 3

Record 2
ORCA calculation (the ωB97M-V functional and the def2-TZVPD basis) on C23H26As2CoF3O5S as an isolated structure.

XYZ file:
```
61
Properties=species:S:1:pos:R:3:forces:R:3
Co -0.3529 0.4814 -1.5339 0.1 0.6 -0.1
C -1.5850 2.4889 -2.4919 -0.1 -0.1 -0.1
C -2.1441 1.1916 -2.5801 -0.5 0.2 -0.2
C -2.4494 0.7611 -1.2614 -0.7 0.1 0.1
C -2.0481 1.7847 -0.3733 -0.2 0.3 0.0
C -1.5473 2.8563 -1.1424 0.0 -0.1 0.2
H -1.2860 3.1102 -3.3199 0.2 -0.1 -0.1
H -2.4491 0.6915 -3.4870 0.2 -0.1 0.0
H -3.0253 -0.1137 -1.0037 0.2 -0.1 0.0
H -2.2018 1.8004 0.6963 0.1 -0.1 0.0
H -1.2038 3.8032 -0.7599 0.2 0.0 0.0
C 2.7662 0.3584 0.8394 -0.3 0.0 -0.1
As 0.9681 -0.4154 0.4919 1.1 -0.3 0.7
C 1.6690 -2.1022 -0.1909 0.1 -0.2 -0.1
C 0.5604 -0.9978 2.3492 -0.3 0.2 -0.3
C 1.3336 -0.6220 3.4422 0.2 0.1 -0.1
C 1.0228 -1.0684 4.7179 0.0 0.0 0.0
C -0.0849 -1.8741 4.9178 -0.1 0.0 0.0
C -0.8797 -2.2170 3.8353 -0.2 -0.1 0.0
C -0.5721 -1.7955 2.5489 0.1 0.1 -0.4
As -1.5943 -2.2456 0.8956 -0.4 -0.2 1.9
C -1.7744 -4.1805 1.2600 0.0 0.1 -0.1
C -3.3859 -1.7410 1.5828 0.2 0.1 -0.3
H 3.3720 -0.3496 1.4106 -0.1 0.0 0.0
H 2.7117 1.3124 1.3671 0.0 -0.1 0.0
H 3.2497 0.5317 -0.1216 -0.1 0.0 0.0
H 2.3026 -2.5919 0.5549 -0.1 0.1 -0.1
H 2.2602 -1.8595 -1.0755 0.0 0.0 0.0
H 0.8594 -2.7648 -0.4961 0.1 0.0 0.1
H 2.1917 0.0252 3.3063 0.0 0.0 0.0
H 1.6484 -0.7876 5.5540 0.0 0.0 0.0
H -0.3351 -2.2219 5.9119 0.0 0.0 0.0
H -1.7593 -2.8278 3.9973 0.0 -0.1 0.0
H -2.1407 -4.3993 2.2643 0.0 0.2 0.0
H -0.8120 -4.6664 1.1084 0.0 0.1 0.0
H -2.4640 -4.5833 0.5221 -0.1 0.0 0.0
____________
**Written answer:**
Record 1
ORCA calculation (the ωB97M-V functional and the def2-TZVPD basis) on C23H25N6NiO as an isolated structure.

XYZ file:
```
56
Properties=species:S:1:pos:R:3:forces:R:3
Ni 0.1839 -0.5298 -0.4530 0.6 -0.2 -0.5
N 0.7568 -2.1703 -1.7765 -0.1 0.1 0.2
C 2.1397 -1.9844 -2.0919 0.1 -0.1 -0.2
C 2.7453 -2.5383 -3.1867 -0.2 0.0 0.1
C 4.1237 -2.3606 -3.4084 0.1 0.0 0.0
C 4.8847 -1.6704 -2.5090 0.0 0.0 -0.1
C 4.2837 -1.0687 -1.3808 -0.3 0.0 0.0
C 5.0100 -0.3419 -0.4143 -0.1 0.1 0.1
C 4.3318 0.2475 0.6130 0.2 0.0 0.0
C 2.9317 0.1588 0.6579 -0.1 0.0 -0.1
N 2.2142 -0.5197 -0.2089 0.1 -0.1 0.0
C 2.8848 -1.1783 -1.2018 0.3 0.0 -0.1
H 0.6576 -2.8989 -1.0758 0.0 -0.1 0.0
H 0.2381 -2.4588 -2.5950 -0.1 0.1 0.0
H 2.1634 -3.1374 -3.8773 0.0 0.0 0.0
H 4.5787 -2.8006 -4.2853 0.0 0.0 0.0
H 5.9532 -1.5653 -2.6480 0.0 0.0 0.0
H 6.0857 -0.2561 -0.5025 0.0 0.0 0.0
H 4.8410 0.8092 1.3837 0.0 0.0 0.0
H 2.3990 0.6897 1.4268 -0.2 0.0 0.1
C -3.1281 1.1932 -2.8490 0.0 0.0 0.0
C -3.6071 -0.2382 -2.5169 0.1 0.0 0.0
C -2.3025 -1.0251 -2.3325 -0.2 0.1 -0.1
O -1.3000 -0.0462 -2.0634 -0.1 0.0 -0.1
C -1.6066 1.0514 -2.9207 -0.1 0.1 -0.1
H -3.4115 1.8887 -2.0602 0.0 0.0 0.0
H -3.5339 1.5656 -3.7877 0.0 0.0 0.0
H -4.2136 -0.6687 -3.3115 0.0 0.0 0.0
H -4.1943 -0.2509 -1.6006 0.0 0.0 0.0
H -2.0463 -1.5544 -3.2592 0.0 0.0 0.0
H -2.3264 -1.7284 -1.5019 0.0 0.0 0.0
H -1.2937 0.8101 -3.9436 0.1 0.0 0.0
H -1.0583 1.9260 -2.5790 0.0 0.0 0.1
C -0.4430 0.3164 1.3670 -0.9 0.8 1.5
C 0.1057 1.0574 2.1793 0.0 -0.4 -0.7
C 0.8855 1.8573 3.0555 0.2 0.2 0.3
C 1.0182 3.2370 2.8430 0.0 -0.2 -0.1
C 1.7587 4.0089 3.7194 0.0 0.1 0.0
C 2.3697 3.4250 4.8215 0.0 0.0 0.0
C 2.2479 2.0585 5.0410 0.0 0.0 0.0
C 1.5155 1.2761 4.1673 -0.1 0.0 -0.2
H 0.5354 3.6832 1.9835 0.0 0.0 0.0
H 1.8620 5.0726 3.5496 0.0 0.0 0.0
H 2.9397 4.0339 5.5107 0.0 0.0 0.0
H 2.7271 1.6026 5.8975 0.0 0.0 0.0
H 1.4177 0.2104 4.3286 0.0 0.0 0.0
N -6.0130 -0.1381 0.8663 0.0 -0.1 0.2
C -5.0660 -0.9883 1.3515 0.3 0.1 -0.1
N -5.4735 -2.0112 2.1472 -0.1 0.1 -0.2
N -3.8221 -0.8492 1.0076 -0.5 -0.6 -0.7
C -2.6810 -0.4148 1.2727 0.2 0.9 1.3
N -1.4878 -0.3751 0.8741 0.4 -0.8 -1.0
H -6.8971 -0.1006 1.3482 0.0 0.0 -0.1
H -5.6739 0.7428 0.5160 0.0 0.0 0.0
H -6.4229 -2.3368 2.0619 0.0 0.0 0.1
H -4.7873 -2.7166 2.3505 0.0 0.0 0.0
```
Positions in Å, forces in eV/Å.

E_LUMO (spin up / spin down): -0.0909 / -0.0967 Eh
Frontier orbital gap (spin up / spin down): 6.350 / 7.168 eV
Charge: +1
Spin multiplicity: 3

Record 2
ORCA calculation (the ωB97M-V functional and the def2-TZVPD basis) on C23H26As2CoF3O5S as an isolated structure.

XYZ file:
```
61
Properties=species:S:1:pos:R:3:forces:R:3
Co -0.3529 0.4814 -1.5339 0.1 0.6 -0.1
C -1.5850 2.4889 -2.4919 -0.1 -0.1 -0.1
C -2.1441 1.1916 -2.5801 -0.5 0.2 -0.2
C -2.4494 0.7611 -1.2614 -0.7 0.1 0.1
C -2.0481 1.7847 -0.3733 -0.2 0.3 0.0
C -1.5473 2.8563 -1.1424 0.0 -0.1 0.2
H -1.2860 3.1102 -3.3199 0.2 -0.1 -0.1
H -2.4491 0.6915 -3.4870 0.2 -0.1 0.0
H -3.0253 -0.1137 -1.0037 0.2 -0.1 0.0
H -2.2018 1.8004 0.6963 0.1 -0.1 0.0
H -1.2038 3.8032 -0.7599 0.2 0.0 0.0
C 2.7662 0.3584 0.8394 -0.3 0.0 -0.1
As 0.9681 -0.4154 0.4919 1.1 -0.3 0.7
C 1.6690 -2.1022 -0.1909 0.1 -0.2 -0.1
C 0.5604 -0.9978 2.3492 -0.3 0.2 -0.3
C 1.3336 -0.6220 3.4422 0.2 0.1 -0.1
C 1.0228 -1.0684 4.7179 0.0 0.0 0.0
C -0.0849 -1.8741 4.9178 -0.1 0.0 0.0
C -0.8797 -2.2170 3.8353 -0.2 -0.1 0.0
C -0.5721 -1.7955 2.5489 0.1 0.1 -0.4
As -1.5943 -2.2456 0.8956 -0.4 -0.2 1.9